Institutional Distinctiveness
1.
Density functional theory data (ωB97M-V/def2-TZVPD) for a structure of composition C19H43OP3SSc in a non-equilibrium geometry.

Each line ends with the Löwdin charge.
Cartesian coordinates (Å):
Sc -0.3004 -0.5981 -1.3324  0.592
P 0.5212 -2.8821 -2.2521  0.780
P 2.2250 -0.2285 -0.2307  0.736
P -2.9161 -0.0139 -1.3807  0.775
H 2.1028 3.9754 -1.4630  0.051
C 1.0395 4.2187 -1.3853  -0.068
C 0.3473 4.2384 -0.2341  -0.080
H 0.8057 4.0772 0.7488  0.052
C 1.6132 -2.7299 -3.7429  -0.223
C 1.2858 -4.2306 -1.2367  -0.212
C -1.0582 -3.4705 -2.9406  -0.238
C 2.6968 1.2815 0.7052  -0.238
C 2.6663 -1.4282 1.1046  -0.244
C 3.7595 -0.3692 -1.2359  -0.247
C -3.4810 1.6044 -0.6963  -0.221
C -3.8572 -1.2797 -0.4421  -0.232
C -3.6621 0.0380 -3.0549  -0.228
H 0.5110 4.3221 -2.3488  0.054
H -0.7023 4.5428 -0.2186  0.051
H 1.0262 -2.5721 -4.6647  0.065
H 2.2662 -3.6124 -3.9047  0.090
H 2.2808 -1.8585 -3.6029  0.036
H 1.1541 -5.2416 -1.6642  0.085
H 0.8036 -4.2076 -0.2434  0.042
H 2.3677 -4.0507 -1.0880  0.065
H -0.9591 -4.4413 -3.4388  0.084
H -1.4633 -2.7536 -3.6741  0.061
H -1.8122 -3.5697 -2.1483  0.047
H 3.7894 1.2791 0.8570  0.079
H 2.2035 1.2850 1.6861  0.054
H 2.4064 2.1855 0.1565  0.021
H 3.7484 -1.3522 1.2973  0.079
H 2.4243 -2.4519 0.7971  0.029
H 2.1190 -1.1904 2.0259  0.042
H 4.6317 -0.2623 -0.5719  0.072
H 3.7665 0.4367 -1.9797  0.062
H 3.7878 -1.3431 -1.7416  0.040
H -4.4735 1.9216 -1.0679  0.082
H -2.7509 2.3721 -1.0054  0.048
H -3.5045 1.6113 0.4042  0.034
H -4.9253 -1.3021 -0.6929  0.081
H -3.7521 -1.1247 0.6402  0.038
H -3.4408 -2.2718 -0.6611  0.037
H -4.6766 0.4699 -3.0785  0.080
H -3.7021 -0.9615 -3.5066  0.059
H -3.0275 0.6637 -3.7093  0.025
C -0.1391 0.8736 -4.4646  -0.268
C 0.5779 0.3251 -5.5252  -0.010
C 0.2117 0.7035 -6.8163  -0.025
C -0.7700 1.6869 -6.9990  -0.031
C -1.3846 2.3127 -5.9055  -0.020
C -1.0548 1.9056 -4.5964  -0.031
O -0.0487 0.2327 -3.2094  -0.156
H 0.6431 -0.5100 -3.2398  0.051
H 1.3359 -0.4389 -5.3355  0.106
H 0.7079 0.2166 -7.6572  0.132
H -1.0573 1.9410 -8.0245  0.132
H -2.1181 3.1103 -6.0913  0.135
H -1.5490 2.3614 -3.7302  0.121
C -0.9289 -1.9417 1.7749  -0.298
S -0.5600 -0.2315 1.2470  0.712
C -1.7520 0.7247 2.2471  -0.293
H -0.8098 -2.6409 0.9319  0.030
H -1.9560 -2.0062 2.1599  0.066
H -0.2138 -2.2013 2.5671  0.067
H -2.7221 0.2231 2.3204  0.055
H -1.3284 0.8505 3.2546  0.078
H -1.8766 1.7188 1.8040  0.048

Cartesian forces, eV/Å:
-0.3 1.4 1.0
0.8 -1.6 -1.0
1.9 0.2 1.0
-1.6 0.5 0.0
-0.3 0.2 0.2
-0.8 -0.8 0.0
0.4 0.2 -0.3
0.0 0.2 -0.4
0.3 0.3 -0.1
-0.2 0.3 0.5
-0.5 -0.1 0.1
-0.6 0.5 -0.1
-0.5 -0.4 -0.2
-0.5 -0.1 -0.5
0.5 0.4 0.2
0.2 -0.3 0.1
0.3 0.0 -0.5
0.4 0.3 0.6
0.3 -0.2 -0.1
0.1 -0.1 0.5
-0.5 0.4 0.3
-0.1 -0.4 -0.2
-0.1 0.6 -0.1
0.2 -0.2 -0.3
-0.5 0.1 -0.2
0.1 0.1 0.1
0.3 -0.1 0.1
0.1 -0.1 -0.1
-0.5 -0.1 -0.1
0.1 0.1 -0.3
0.1 -0.1 0.2
-0.4 0.0 -0.1
0.2 0.1 0.2
0.2 -0.1 -0.2
-0.4 -0.1 -0.3
0.2 -0.2 0.0
0.2 0.2 0.0
0.4 -0.5 0.1
-0.3 -0.1 0.1
0.0 -0.1 -0.5
0.3 0.2 0.0
0.0 0.1 -0.3
-0.2 0.1 0.0
0.4 -0.2 0.3
Lakhimpur Commerce College is the first pioneer Higher Education Institution of Commerce in the North Bank of the Brahmaputra established on 4th September 1972. The Arts Stream was introduced in the college in the year 1993. With each passing year, one more class was added and in this way, by 1997 all classes up to Under Graduate level were opened in Arts Stream. Overall students’ performance in both Arts and Commerce streams has been satisfactory. The Teaching- Learning process in the college is exclusively Learner Centric. The college also provides regular career counseling programmes for the benefit of the students to cope up with the present globalised era. The college practices a special concern for the slow and under-performed learners. Remedial classes for the slow and under- performed learners are regularly conducted. A few departments have regularly been publishing Wall Magazines showcasing the literary and creative skills/talents of the students. However, the college also publish college magazine. Most of the Departments organize Departmental Workshops, Interactive Lectures, Quiz, Group Discussion etc among the students supervised by the faculty members of the college. The entire college environment can be regarded as Complete Ragging Free institution. Apart from providing the traditional degrees such as Bachelor of Commerce and Bachelor of Arts, the college also facilitates CCA (Certificate of Computer Application) since 2001 onwards.The college has continuously been functioning a study centre and Exam centre under Indira Gandhi National Open University (IGNOU) since June 2000 providing UG, PG, Certificate and Diploma courses to the students. The college also runs a study centre of Krishna Kanta Handique State Open University (KKHSOU).The College organizes educational/excursion trip for the students. Each year, the department of Assamese organizes an Educational Excursion Trip for the students supervised and accompanied by the faculties of the Department to places of historical or religious importance. The department of Education also organizes such trips. The college practices the habit of preserving the Question papers of previous examinations kept well in the college library for the benefits of the students.Due to covid-19 pandemic, regular classes as well as examinations were held online.
Data records, kept here for reference =
........
DFT (ωB97M-V/def2-TZVPD) results for a molecular structure, C4H7N2.

```
13
Properties=species:S:1:pos:R:3:lowdin_charge:R:1
C 1.3836 -1.2616 0.1795 0.022
C -0.0341 -0.6284 0.0450 -0.172
C -1.3277 -1.1414 -0.0572 0.018
C 0.2074 1.8356 -0.0465 0.005
N 1.9613 -0.1471 0.1056 0.231
N 0.5834 0.5125 0.0400 -0.054
H 1.8934 -2.2233 0.0774 0.142
H -1.4412 -2.2375 -0.5064 0.173
H -2.0300 -0.4679 -0.5759 0.112
H -1.7255 -0.8732 1.0035 0.173
H 1.1452 2.2472 -0.2656 0.094
H -0.0624 2.2728 0.8680 0.098
H -0.5535 2.1121 -0.8672 0.159
```

As for the energy relative to the best compared isomer or geometry (same formula, charge and spin): 5.620 eV. The value obtained for the HOMO energy is -15.53 eV. The value obtained for the orbital gap is 9.44 eV. As for the molar mass: 83.114 g mol⁻¹. The largest force on an atom is 3.4 eV/A. The total energy is -265.7019 hartree. The total charge is +1.


DFT (ωB97M-V/def2-TZVPD) results for a gas-phase ion, C4H7N2 (charge +1).

```
13
Properties=species:S:1:pos:R:3:lowdin_charge:R:1
C 0.6809 1.2883 0.1839 -0.060
C -0.6026 0.8458 -0.3346 -0.183
C -0.5483 -0.7839 -0.4335 -0.194
C 1.0250 0.0450 -0.5917 0.013
N -1.5585 -0.0396 0.2368 0.169
N 0.6978 -1.1432 0.2158 0.087
H 0.7947 2.1330 -0.3639 0.096
H 0.8365 1.1491 1.3088 0.169
H -0.8827 1.2438 -1.2540 0.149
H -0.7495 -1.4251 -1.3912 0.220
H -1.7471 -0.1156 1.1883 0.122
H 0.7923 -1.1641 1.2338 0.181
H 1.2615 -2.0334 0.0015 0.232
```

As for the energy relative to the best compared isomer or geometry (same formula, charge and spin): 7.061 eV. The value obtained for the HOMO energy is -14.00 eV. The value obtained for the orbital gap is 10.40 eV. As for the molar mass: 83.114 g mol⁻¹. The largest force on an atom is 4.8 eV/A. The total energy is -265.6490 hartree. The total charge is +1.


DFT (ωB97M-V/def2-TZVPD) results for a gas-phase ion, C4H7N2 (charge +1).

```
13
Properties=species:S:1:pos:R:3:lowdin_charge:R:1
C 0.8337 1.2664 -1.0811 -0.207
C -1.6173 -1.6641 0.9490 0.168
C -0.8876 -0.6100 0.3999 -0.085
C 0.5034 -0.6491 0.4341 -0.064
N 1.0589 2.4486 -0.7259 0.175
N 1.2109 0.1968 -0.1921 0.105
H 0.3190 0.8718 -1.9278 0.132
H -1.2663 -2.4703 1.6341 0.110
H -2.6857 -1.5833 0.9637 0.077
H -1.5273 0.1483 -0.1378 0.145
H 1.0739 -1.3649 0.9011 0.140
H 0.8362 3.1729 -1.4496 0.110
H 2.1483 0.2369 0.2325 0.192
```

As for the energy relative to the best compared isomer or geometry (same formula, charge and spin): 3.003 eV. The value obtained for the HOMO energy is -15.40 eV. The value obtained for the orbital gap is 9.58 eV. As for the molar mass: 83.114 g mol⁻¹. The largest force on an atom is 4.5 eV/A. The total energy is -265.7981 hartree. The total charge is +1.


Q: Among the records above, which one has the highest total energy?
A: number 2


Q: Look up the energy relative to the best compared isomer or geometry (same formula, charge and spin) of the second one.
A: 7.061 eV


Q: What is the total charge in the second record?
A: +1


Please write out number 2 again, unchanged.
........
The institution makes all efforts to maintain transparency in its financial, academic, administrative and auxiliary functions.
Transparency in Financial Functions:
Unrelated to this page: quantum chemistry results:
-- begin --
--- P ---
{"formula": "C2HN3O3", "method": "ωB97M-V with the def2-TZVPD basis set", "species": ["O", "O", "O", "N", "N", "N", "C", "C", "H"], "xyz": [[2.25, -0.29, 0.93], [1.71, -1.37, -0.88], [-1.25, 1.76, -0.11], [-1.97, 0.66, -0.03], [1.58, -0.59, 0.02], [0.05, 1.47, -0.01], [-1.19, -0.38, 0.00], [0.12, 0.19, 0.04], [-1.30, -1.45, 0.04]], "homo_lumo_gap_ev": 11.667, "lumo_ev": -0.2158, "mol_weight_da": 115.05, "charge": 0, "e_homo_ev": -11.9, "smiles": "O=[N+]([O-])c1cnon1"}

=====

--- Q ---
{"formula": "C2HN3O3", "method": "ωB97M-V with the def2-TZVPD basis set", "species": ["O", "O", "O", "N", "N", "N", "C", "C", "H"], "xyz": [[0.09, 0.90, -0.13], [1.06, -0.83, 1.10], [1.96, 1.24, 1.07], [-0.23, -1.41, -0.79], [-1.90, 0.22, -0.94], [0.71, -1.74, -0.13], [-0.76, -0.05, -0.47], [1.18, 0.46, 0.62], [-2.11, 1.20, -0.34]], "homo_lumo_gap_ev": 10.344, "lumo_ev": -1.0779, "mol_weight_da": 115.05, "charge": 0, "e_homo_ev": -11.4, "smiles": "[H]/N=c1/nnoc(=O)o1"}

=====

Quick look at relative energies in kcal/mol: P 62.6; Q 0.0.

=====

--- P ---
{"formula": "C3HBr2NO", "method": "ωB97M-V with the def2-TZVPD basis set", "species": ["Br", "Br", "O", "N", "C", "C", "C", "H"], "xyz": [[0.44, -1.02, -1.77], [-1.41, 1.54, -1.36], [-0.93, -2.23, 0.73], [0.16, 0.43, 1.55], [-0.30, 0.32, -0.56], [0.81, 0.72, 0.39], [-0.65, -0.27, 0.80], [1.88, 0.49, 0.21]], "homo_lumo_gap_ev": [7.489, 7.824], "lumo_ev": [-1.9277, -2.0123], "mol_weight_da": 226.85, "charge": 0, "e_homo_ev": [-9.4, -9.8]}

=====

--- Q ---
{"formula": "C3HBr2NO", "method": "ωB97M-V with the def2-TZVPD basis set", "species": ["Br", "Br", "O", "N", "C", "C", "C", "H"], "xyz": [[-2.36, -1.20, 0.21], [0.82, -2.07, -0.09], [1.55, 0.22, 1.51], [0.87, 1.26, -0.42], [-0.49, -0.58, -0.04], [1.14, 0.56, 0.51], [-0.34, 0.63, -0.69], [-1.19, 1.18, -0.99]], "homo_lumo_gap_ev": 8.719, "lumo_ev": -0.6995, "mol_weight_da": 226.85, "charge": 0, "e_homo_ev": -9.4}

=====

Quick look at relative energies in kcal/mol: P 138.0; Q 0.0.

=====

--- P ---
{"formula": "C2H3O3Si", "method": "ωB97M-V with the def2-TZVPD basis set", "species": ["Si", "O", "O", "O", "C", "C", "H", "H", "H"], "xyz": [[-1.03, -0.11, 0.05], [0.48, -1.42, 0.04], [2.62, -0.58, -0.23], [1.00, 2.07, -0.22], [0.68, 0.84, 0.05], [1.45, -0.53, 0.04], [-2.14, 0.92, -0.21], [-1.63, -0.94, -1.01], [-1.43, -0.26, 1.49]], "homo_lumo_gap_ev": 8.240, "lumo_ev": 3.8811, "mol_weight_da": 103.13, "charge": -1, "e_homo_ev": -4.4}

=====

--- Q ---
{"formula": "C2H3O3Si", "method": "ωB97M-V with the def2-TZVPD basis set", "species": ["Si", "O", "O", "O", "C", "C", "H", "H", "H"], "xyz": [[-1.80, -0.17, -0.06], [-0.28, -0.40, -0.11], [3.07, -1.33, 0.17], [1.49, 1.83, 0.02], [1.78, 0.69, 0.09], [2.74, -0.21, -0.20], [-2.24, 0.08, -1.54], [-2.37, -1.38, 0.86], [-2.38, 0.89, 0.77]], "homo_lumo_gap_ev": [7.158, 7.153], "lumo_ev": [2.8367, 2.8820], "mol_weight_da": 103.13, "charge": -1, "e_homo_ev": [-4.3, -4.3]}

=====
-- stop --
The institution maintains systematic accounts on utilization of financial resources of the college including different grants received from the government within a period of time. Utilization of all Government and UGC grants and assistance is certified by a reputed Chartered Accountant after due verification. All payments of the college are carried out through cheques and online (Net Banking) mode. The Accounts Department maintains the receipts and payments with supporting documents and provides all the necessary books of accounts for the purpose of audit. An Auditor of the Local Fund, Govt. of Assam who is appointed by the Governing Body conducts the internal audits of the college. External Audits of the college are conducted by an Audit Officer/Auditor appointed by the Joint Director, Local Fund, Govt. of Assam. The appointed Internal Auditor audits all the financial statements, bank and cash transactions, and verifies the Ledger, Stock Register, Cash Book, supporting Vouchers and all other evidences relating to purchase of different assets by the college within a given period of time. After the audit, a detailed Report is prepared by Internal Auditor along with Receipts and Payments Accounts of all funds of the college and the said Report is placed before the Governing Body by the Principal and Secretary for approval.
Transparency in Academic Functions:
Information on academic functions of the college is provided through the college website. Admission Committee carries out the entire process of new admission under the direct supervision of the Principal. List of selected candidates are displayed on the college notice board and college website for admission. The Academic Committee of the college prepares class routine, oversees running of classes and takes stock of progress of courses and gives suggestions for improvement. The Examination Monitoring Committee conducts sessional examinations and keeps all records of examinations and displays all internal marks of students on the notice board.
The attendance of the students in the classes is recorded.
Transparency in Administrative Functions:
For maintaining transparency in administrative function of the college; a system of office automation has been adopted which facilitates students’ data base admission process and fund management. E-mail ID and phone numbers of the students are collected at the time of admission for notifying students the dates of events, examination and filling up forms through mobile SMS. Students are provided facilities for open access to e-resources in the library. The students’ grievances are redressed by the Grievance Redressal Cell. Feedbacks are collected from stakeholders, i.e. students, teachers, guardians and alumni and after feedback analysis; steps are taken for improvement in the necessary areas. Biometric machine has been installed for recording daily attendance of teachers and office staff. The Governing Body is the highest decision making authority of the college and recruitments and promotions are transparently done as per Govt. and UGC guidelines. Different Committees and Cells are constituted to assist the administration.